- - -
[1]
First-principles (PBE) data for a relaxed structure of ZrCo4P2, as listed in the Alexandria database.

a = 6.905 Å, b = 6.905 Å, c = 3.537 Å
α = 90.00°, β = 90.00°, γ = 90.00°
Positions (direct):
Zr 0.000 0.000 0.000
Zr 0.500 0.500 0.500
Co 0.080 0.337 0.500
Co 0.163 0.580 0.000
Co 0.337 0.080 0.500
Co 0.420 0.837 0.000
Co 0.580 0.163 0.000
Co 0.663 0.920 0.500
Co 0.837 0.420 0.000
Co 0.920 0.663 0.500
P 0.223 0.777 0.500
P 0.277 0.277 0.000
P 0.723 0.723 0.000
P 0.777 0.223 0.500

Results
* uncorrected energy: -106.0 eV per cell
* SG: P4_2/mnm, No. 136
* E_form: -0.75 eV per atom


[2]
First-principles (PBE) data for a relaxed structure of ZrCo2P, as listed in the Alexandria database.

a = 3.210 Å, b = 3.210 Å, c = 5.340 Å
α = 90.00°, β = 90.00°, γ = 90.00°
Positions (direct):
Zr 0.000 0.000 0.000
Co 0.500 0.500 0.277
Co 0.500 0.500 0.723
P 0.000 0.000 0.500

Results
* uncorrected energy: -29.2 eV per cell
* SG: P4/mmm, No. 123
* E_form: -0.26 eV per atom


[3]
First-principles (PBE) data for a relaxed structure of ZrCo2P, as listed in the Alexandria database.

a = 4.421 Å, b = 4.421 Å, c = 4.421 Å
α = 131.45°, β = 120.80°, γ = 79.97°
Positions (direct):
Zr 0.000 0.000 0.000
Co 0.288 0.788 0.500
Co 0.712 0.212 0.500
P 0.500 0.500 0.000

Results
* uncorrected energy: -29.8 eV per cell
* SG: Immm, No. 71
* E_form: -0.40 eV per atom


[4]
First-principles (PBE) data for a relaxed structure of ZrCo2P, as listed in the Alexandria database.

a = 3.048 Å, b = 3.048 Å, c = 5.903 Å
α = 90.00°, β = 90.00°, γ = 90.00°
Positions (direct):
Zr 0.000 0.000 0.000
Co 0.000 0.000 0.522
Co 0.500 0.500 0.275
P 0.500 0.500 0.660

Results
* uncorrected energy: -29.4 eV per cell
* SG: P4mm, No. 99
* E_form: -0.30 eV per atom


[5]
First-principles (PBE) data for a relaxed structure of ZrCo2P, as listed in the Alexandria database.

a = 2.814 Å, b = 2.814 Å, c = 6.644 Å
α = 90.00°, β = 90.00°, γ = 90.00°
Positions (direct):
Zr 0.000 0.000 0.000
Co 0.500 0.500 0.311
Co 0.500 0.500 0.689
P 0.000 0.000 0.500

Results
* uncorrected energy: -29.4 eV per cell
* SG: P4/mmm, No. 123
* E_form: -0.30 eV per atom


[6]
First-principles (PBE) data for a relaxed structure of Zr6Co2P, as listed in the Alexandria database.

a = 7.122 Å, b = 7.122 Å, c = 3.847 Å
α = 90.00°, β = 90.00°, γ = 120.00°
Positions (direct):
Zr 0.000 0.398 0.000
Zr 0.000 0.733 0.500
Zr 0.267 0.267 0.500
Zr 0.398 0.000 0.000
Zr 0.602 0.602 0.000
Zr 0.733 0.000 0.500
Co 0.333 0.667 0.500
Co 0.667 0.333 0.500
P 0.000 0.000 0.000

Results
* uncorrected energy: -74.6 eV per cell
* SG: P-62m, No. 189
* E_form: -0.41 eV per atom


[7]
First-principles (PBE) data for a relaxed structure of ZrCo2P, as listed in the Alexandria database.

a = 4.900 Å, b = 4.900 Å, c = 3.730 Å
α = 111.75°, β = 111.75°, γ = 115.73°
Positions (direct):
Zr 0.000 0.000 0.000
Co 0.000 0.500 0.500
Co 0.500 0.000 0.500
P 0.500 0.500 0.000

Results
* uncorrected energy: -28.7 eV per cell
* SG: C2/m, No. 12
* E_form: -0.13 eV per atom


[8]
First-principles (PBE) data for a relaxed structure of ZrCo2P, as listed in the Alexandria database.

a = 4.934 Å, b = 4.934 Å, c = 4.934 Å
α = 45.66°, β = 45.66°, γ = 45.66°
Positions (direct):
Zr 0.000 0.000 0.000
Co 0.208 0.208 0.208
Co 0.443 0.443 0.443
P 0.802 0.802 0.802

Results
* uncorrected energy: -30.4 eV per cell
* SG: R3m, No. 160
* E_form: -0.57 eV per atom
- - -

Repeat everything further above word for word.

[1]
First-principles (PBE) data for a relaxed structure of ZrCo4P2, as listed in the Alexandria database.

a = 6.905 Å, b = 6.905 Å, c = 3.537 Å
α = 90.00°, β = 90.00°, γ = 90.00°
Positions (direct):
Zr 0.000 0.000 0.000
Zr 0.500 0.500 0.500
Co 0.080 0.337 0.500
Co 0.163 0.580 0.000
Co 0.337 0.080 0.500
Co 0.420 0.837 0.000
Co 0.580 0.163 0.000
Co 0.663 0.920 0.500
Co 0.837 0.420 0.000
Co 0.920 0.663 0.500
P 0.223 0.777 0.500
P 0.277 0.277 0.000
P 0.723 0.723 0.000
P 0.777 0.223 0.500

Results
* uncorrected energy: -106.0 eV per cell
* SG: P4_2/mnm, No. 136
* E_form: -0.75 eV per atom


[2]
First-principles (PBE) data for a relaxed structure of ZrCo2P, as listed in the Alexandria database.

a = 3.210 Å, b = 3.210 Å, c = 5.340 Å
α = 90.00°, β = 90.00°, γ = 90.00°
Positions (direct):
Zr 0.000 0.000 0.000
Co 0.500 0.500 0.277
Co 0.500 0.500 0.723
P 0.000 0.000 0.500

Results
* uncorrected energy: -29.2 eV per cell
* SG: P4/mmm, No. 123
* E_form: -0.26 eV per atom


[3]
First-principles (PBE) data for a relaxed structure of ZrCo2P, as listed in the Alexandria database.

a = 4.421 Å, b = 4.421 Å, c = 4.421 Å
α = 131.45°, β = 120.80°, γ = 79.97°
Positions (direct):
Zr 0.000 0.000 0.000
Co 0.288 0.788 0.500
Co 0.712 0.212 0.500
P 0.500 0.500 0.000

Results
* uncorrected energy: -29.8 eV per cell
* SG: Immm, No. 71
* E_form: -0.40 eV per atom


[4]
First-principles (PBE) data for a relaxed structure of ZrCo2P, as listed in the Alexandria database.

a = 3.048 Å, b = 3.048 Å, c = 5.903 Å
α = 90.00°, β = 90.00°, γ = 90.00°
Positions (direct):
Zr 0.000 0.000 0.000
Co 0.000 0.000 0.522
Co 0.500 0.500 0.275
P 0.500 0.500 0.660

Results
* uncorrected energy: -29.4 eV per cell
* SG: P4mm, No. 99
* E_form: -0.30 eV per atom


[5]
First-principles (PBE) data for a relaxed structure of ZrCo2P, as listed in the Alexandria database.

a = 2.814 Å, b = 2.814 Å, c = 6.644 Å
α = 90.00°, β = 90.00°, γ = 90.00°
Positions (direct):
Zr 0.000 0.000 0.000
Co 0.500 0.500 0.311
Co 0.500 0.500 0.689
P 0.000 0.000 0.500

Results
* uncorrected energy: -29.4 eV per cell
* SG: P4/mmm, No. 123
* E_form: -0.30 eV per atom


[6]
First-principles (PBE) data for a relaxed structure of Zr6Co2P, as listed in the Alexandria database.

a = 7.122 Å, b = 7.122 Å, c = 3.847 Å
α = 90.00°, β = 90.00°, γ = 120.00°
Positions (direct):
Zr 0.000 0.398 0.000
Zr 0.000 0.733 0.500
Zr 0.267 0.267 0.500
Zr 0.398 0.000 0.000
Zr 0.602 0.602 0.000
Zr 0.733 0.000 0.500
Co 0.333 0.667 0.500
Co 0.667 0.333 0.500
P 0.000 0.000 0.000

Results
* uncorrected energy: -74.6 eV per cell
* SG: P-62m, No. 189
* E_form: -0.41 eV per atom


[7]
First-principles (PBE) data for a relaxed structure of ZrCo2P, as listed in the Alexandria database.

a = 4.900 Å, b = 4.900 Å, c = 3.730 Å
α = 111.75°, β = 111.75°, γ = 115.73°
Positions (direct):
Zr 0.000 0.000 0.000
Co 0.000 0.500 0.500
Co 0.500 0.000 0.500
P 0.500 0.500 0.000

Results
* uncorrected energy: -28.7 eV per cell
* SG: C2/m, No. 12
* E_form: -0.13 eV per atom


[8]
First-principles (PBE) data for a relaxed structure of ZrCo2P, as listed in the Alexandria database.

a = 4.934 Å, b = 4.934 Å, c = 4.934 Å
α = 45.66°, β = 45.66°, γ = 45.66°
Positions (direct):
Zr 0.000 0.000 0.000
Co 0.208 0.208 0.208
Co 0.443 0.443 0.443
P 0.802 0.802 0.802

Results
* uncorrected energy: -30.4 eV per cell
* SG: R3m, No. 160
* E_form: -0.57 eV per atom